Friday, 28 August 2015

004 - Space Crusade: A Brief History

A brief history of the 1990 Games Workshop game Space Crusade.

Games Workshop had a joint effort with Milton Bradley to produce Heroquest in the late 80s. This was an adventure game in the vein of Dungeons And Dragons where the players battled against the dungeon master's horde of Orcs, Goblins, Firmir and Chaos Warriors. It was loosely set in the Warhammer universe.  HeroQuest was created by Steven Baker, who worked for the UK division of Milton Bradley (MB). The game was released in Britain, Europe and Australia in 1989 and Canada and the US in the following year.
With the success of Heroquest Steven Bradley followed it up in 1990 with the game Space Crusade. Again it was loosely set in one of Games Workshop's game settings but instead of fantasy it was the universe of 40k. The TV advert is here.
The game used many of the concepts and game play mechanics of Space Hulk and Rogue Trader but had a much simpler level of play.
The games was played on 4 modular boards which represented a space hulk and 3 smaller entry points for the Space Marine player to enter and exit off the board.
It was played between 2-4 players with 1 or more player taking control of a Space Marine squad kitted out with a tonne of special weapons and a dungeon master style player taking control of the aliens. The alien side has Orks, Gretchin, Chaos Marines, Genestealers and a massive Chaos Space Marine Dreadnought. The alien models were fantastic and I still have some of them floating around my bits box. The Space Marine models represented Ultramarines, Imperial Fists and Blood Angels for each of the different teams.
Each game consists of the Space Marine players receiving their mission and entering the space hulk. They have to complete their mission before the other marine players, and return back to their docking claw. Points were scored for units killed and missions completed and they were deducted points for units lost.
There were two expansions Eldar Attack and Mission Dreadnought. I didn't have Eldar Attack but I was lucky enough to own Mission Dreadnought. The Space Marines had new heavy weapons and tarantula turrets, however the alien player got Androids and bigger and tougher Chaos Space Marine Dreadnoughts. The androids were fascinating as they looked very much like proto Necrons.
I wish Games Workshop would do more simpler and mainstream games like Space Crusade and Heroquest as these games got so many people into the hobby.I can see why the collaboration with another company may not happen but Games Workshop is a big enough enterprise that they would be able to finance something along these lines. Hopefully the release of Execution Force is a step in this direction.
Fingers crossed they just re-release Mordhiem!

Here the entry breaks off for calculated molecules:
┌──
Here is a single C3H10N2O molecule in a non-equilibrium geometry from the OMol25 dataset. Energies are from ωB97M-V/def2-TZVPD.

Output
Highest occupied orbital energy, eV: -9.1
Spin multiplicity: 1
Relative energy (zero: lowest compared OMol25 entry of this formula, charge and spin), kcal per mole: 62.0
Kohn-Sham gap, eV: 10.194
SMILES: CC[C@@H](N)NO
Lowest unoccupied orbital energy, eV: 1.09
M, Da: 90.13

```
16
C3H10N2O ωB97M-V/def2-TZVPD
C -0.28 -0.33 -0.12
C 0.36 1.01 0.09
C 1.93 0.84 -0.32
N -1.80 0.07 0.23
N 0.07 -1.35 0.79
O -2.60 -0.90 -0.51
H -3.27 -0.33 -0.93
H -1.91 -0.25 1.20
H -0.22 -0.65 -1.16
H -0.48 -2.18 0.58
H 1.07 -1.52 0.86
H -0.06 1.75 -0.59
H 0.33 1.36 1.12
H 2.33 1.85 -0.49
H 2.48 0.36 0.48
H 2.06 0.27 -1.24
```



Here is 2 unconnected molecules or ions with the total composition C3H5NO2 in a non-equilibrium geometry from the OMol25 dataset. Energies are from ωB97M-V/def2-TZVPD.

Output
Highest occupied orbital energy, eV: -10.2
Spin multiplicity: 1
Relative energy (zero: lowest compared OMol25 entry of this formula, charge and spin), kcal per mole: 119.7
Kohn-Sham gap, eV: 10.643
SMILES: C#CC.O=NO
Lowest unoccupied orbital energy, eV: 0.49
M, Da: 87.08

```
11
C3H5NO2 ωB97M-V/def2-TZVPD
C -1.32 -0.75 1.18
C 0.10 -0.41 1.25
C 1.28 -0.16 1.38
H 0.75 1.14 -0.84
H -1.49 -1.47 0.37
H -1.64 -1.18 2.13
H -1.92 0.15 0.97
H 2.31 0.10 1.41
N 0.33 1.23 -2.62
O 1.10 0.62 -1.59
O 0.51 0.73 -3.65
```



Here is a molecular structure, C5H5Br15 in a non-equilibrium geometry from the OMol25 dataset. Energies are from ωB97M-V/def2-TZVPD.

Output
Highest occupied orbital energy, eV: -10.0
Spin multiplicity: 1
Relative energy (zero: lowest compared OMol25 entry of this formula, charge and spin), kcal per mole: 27.0
Kohn-Sham gap, eV: 9.219
Lowest unoccupied orbital energy, eV: -0.83
M, Da: 1263.65

```
25
C5H5Br15 ωB97M-V/def2-TZVPD
C -2.26 1.14 3.76
Br -1.86 2.99 4.34
Br -4.10 0.84 3.15
Br -1.60 -0.01 5.22
H -1.61 0.97 2.90
C 0.89 0.10 -0.55
Br 1.36 1.88 -1.39
Br -0.89 0.22 0.28
Br 2.27 -0.27 0.80
H 0.87 -0.77 -1.20
C -2.17 -3.92 -0.77
Br -0.33 -3.43 -1.40
Br -2.26 -5.29 0.61
Br -2.97 -4.51 -2.44
H -2.75 -3.10 -0.36
C -1.16 4.34 -0.89
Br 0.39 5.53 -0.77
Br -2.70 5.32 -1.73
Br -1.73 3.50 0.84
H -0.87 3.53 -1.56
C 4.80 -1.79 -1.90
Br 2.97 -2.53 -2.19
Br 5.68 -2.99 -0.59
Br 4.79 0.09 -1.29
H 5.27 -1.84 -2.89
```



Here is 2 unconnected molecules or ions with the total composition C25H31OSi in a non-equilibrium geometry from the OMol25 dataset. Energies are from ωB97M-V/def2-TZVPD.

Output
Highest occupied orbital energy, eV: -10.6
Spin multiplicity: 1
Relative energy (zero: lowest compared OMol25 entry of this formula, charge and spin), kcal per mole: 0.0
Kohn-Sham gap, eV: 5.395
Total charge: +1
Lowest unoccupied orbital energy, eV: -5.16
M, Da: 375.61

```
58
C25H31OSi ωB97M-V/def2-TZVPD
C -6.08 2.92 9.89
C -4.94 3.43 10.80
Si -3.75 4.72 10.14
C -4.16 5.64 8.54
C -2.04 4.91 10.89
C -1.33 3.75 11.62
H -2.38 2.04 8.26
H -6.85 2.41 10.49
└──

Monday, 24 August 2015

003 - Beakies!

Like most older players and collectors I have alot of love for the humble mk6 power armour more commonly known as "Beakie" armour due to the pointed nose cone. Before I got my RTB01 models I bought some Forgeworld mk6 armour on a whim at the 2014 Warhammerfest in Coventry.
I wanted some of these models for my Iron warriors. The chaos legions don't have much as its more of a latter-era loyalist Horus Heresy mark of armour. However fluff wise I would say these were looted sets of armour that were taken from dead enemies or even renegade marines recruited by the Iron Warriors.
I used bolters from the Chaos Space Marine kit that i had spare to tie them in with the rest of the force. The rest of the army is more utilitarian looking than the more  flamboyant chaos looking legions (I'm looking at you Emperor's Children) so they fit in quite well.

The resin models had to be washed in soapy water before I used them but were very easy to put together. The models were fantastic and were well worth the extra money over a standard Games Workshop kit.
Putting slightly different marks of armour in an army can really breath life into the look and fluffy background into your force.

Thursday, 20 August 2015

002 - Welcome to the Strip Club

Ahh the joys of Dettol.
I have recently bought some RTB01 space marine models off Ebay. They were in a bit of a mess but after seeing a really good guide here I decided to take the plunge and start stripping older models. Using the Dettol technique wasn't too difficult and didn't break the bank either.
There is a massive price difference between unpainted or stripped models and ones that are really bunged up with thick model paint from 1989. They have came out really well and I might just put a quick guide up myself.
Now I have the dilemma of what chapter should they belong to. It's a toss-up between Ultramarines and Imperial Fists. The Ultra Marines may just well win out because of the red bolter retro colour scheme but we will see how long it takes me to do a whole army of Guilliman's finest. I'm quite a lazy painter which is why I got into Iron Warriors but I think I should have a real good go at doing a slightly more complicated army!

Thursday, 13 August 2015

001 - Retro Model Rampage

I love the older style of 40k miniatures. Anything from the 1980s madness of Rogue Trader to the mid 90s trend of red weapons on everything!
I've had a good go on Ebay searching out for decent deals for older models. It pays to not "Buy it now" but to take your time and have a go on auctions. After all if you have waited 25 years to buy a model another couple of weeks won't hurt! I have slowly amassed a decent space marine army consisting of two squads of the second edition boxed set tactical marines, a squad of RTB01 style marines, a squad of 1989 Space Hulk terminators, a Rogue Trader metal dreadnought and one of favorite sculpts of all time, the Librarian in terminator armour.
These are the models I fell in love with when I was about 10 reading White Dwarf for the first time.
I saw some really good blogs on collecting retro marines and I am definitely going to get these guys painted up! Thanks to the ongoing popularity of space marines I can field a legal force that is still really characterful. Although I will have to paint them up now!
Stay tuned for updates.

000 - Hello World

Welcome to my blog about all things miniatures and I thought drop a quick post I would tell what the blog is about and also tell you a little about me.
I love Games Workshop games and miniatures. This blog is intended to let me share my projects and collection with the world and maybe even a few of my views and opinions.
I am in my mid-30s and live in the city of Coventry in England. I have been collecting and painting miniatures for nearly twenty five years now on and off. This means I have quite an eclectic collection of models in various states of completion. I love the hobby and I am quite a fan of the direction GW is going lately
So if you are into Games Workshop content stick around. Also if you have any feedback get in contact with me or leave a comment.